
  • 网络consumer advertising
  1. 做一些出格或怪异的举动,以此吸引媒体的关注,同时又能在狂轰乱炸的消费广告中脱颖而出。

    Do something outrageous or strange , grab some media attention and cut through the clutter of advertising messages that bombards consumers .

  2. 本研究试图了解快速消费品广告中所使用的说服技巧为何。

    The dissertation trys to research the persuasion in FMCG Advertisements .

  3. 快速消费品广告的说服研究

    The Research of Persuasion in FMCG Advertisements

  4. 商业杂志消费品广告

    Analysis of Commercial Consumer Advertisements in Magazines

  5. 消费品广告功能主旨分析

    Realization of Functional Tenor in Consumer Advertising

  6. 很多事例显示消费被广告语言所误导。

    Many cases show that the consumers are misled by the use of the advertising language .

  7. 符号消费与广告伦理

    Symbolic Consumption and Advertising Ethics

  8. 目前,国内学术界对广告中女性形象的分析大多采取女权主义或男权文化视角,没有对消费时代广告中女性形象的审美特性及意识形态作全面而系统的研究,失之片面。

    At present the analysis of female images in advertising are mostly in the feminist or masculine hegemony perspectives .

  9. 本文论及的广告用语仅限于出版于杂志中的消费类广告。

    In this thesis " advertising speech " is confined only to the speech in consumer advertising published in magazine .

  10. 该图表预计,在2007年某月之后,互联网广告支出才会超过消费杂志广告。

    It forecast that the amount of money spent on Internet advertising would not exceed that for consumer magazines until some time in 2007 .

  11. 产品包装是现代营销的重要手段之一,也是消费与广告心理学领域的研究热点之一。

    Product packaging was very important in modern market , becoming a hot topic of research in the field of Consumer and Advertisement Psychology .

  12. 将近90%的北京调查受访者表达了对于出现在消费产品广告中的科学家的信誉的怀疑,而将近1/3的被调查者说“完全不相信”他们。

    Sed survey respondents expressed doubts about the credibility of scientists appearing in advertisements for consumer products , and nearly one-third stated that they " definitely mistrust " them .

  13. 在智能手机用户人数居世界之最的背景下,中国已经同时成为了营销和科技公司的试验田,被它们用来测试那些旨在吸引消费者在线上和线下消费的广告方式。

    With the largest pool of smartphone users in the world , China has become a petri dish for marketers and technology companies alike to test ways to get consumers to buy both online and off .

  14. 根据上述原则,我们分析了以四类商品为代表的非耐用消费品广告的特征,根据其作用模式构建了两阶段测评概念模型。

    According to these principles , we analyze the characteristics of the advertising in the non-durable consumer goods category typified by four product types , and construct a two-staged evaluation model based on the function pattern of these advertising .

  15. 当然--我很了解电子商务生态系统,我见识过大量的消费公司和广告科技公司,但这都不比不上在谷歌(Google)工作几年。

    Sure -- I knew the e-commerce ecosystem cold , met with countless consumer companies , and quite a few adtech companies , but that doesn 't compare to spending several years working at Google .

  16. 论消费异化与广告伦理

    Consuming Alienation and Ethics of Advertisements A New Discussion on Alienation

  17. 中国快速消费品市场广告策略研究

    Research on Advertising Strategy of Fast Moving Consumer Goods in China

  18. 商品生产的最后一道工序&消费社会的广告

    The Last Procedure of Goods & Advertising in a Consumer Society

  19. 解读征服女性消费心理的广告策略

    Interpretation of Advertisement Strategies on How to Conquer the Female

  20. 消费社会下广告创意过程模式的建构

    The Foundation of the Advertising Creativity Process from the Semiotics in Consumptive Society

  21. 消费品行业广告沟通策略的研究

    Study on the Advertising Communication Strategy of FMCG Industry

• Calculated crystals, as found in the file:
The following is a computed XRD peak list of Dy3ThRu3. It was derived from a structure optimized by DFT (GGA-PBE), using Cu Kα, 1.54184 Å.

Structure:
a = 9.5243 Å, b = 9.5243 Å, c = 6.0208 Å
α = 90.00°, β = 90.00°, γ = 120.00°
Space group R3m (No. 160, hexagonal axes)
Unique sites:
Dy: 0.0605 0.5303 0.0000 [9 per cell]
Th: 0.0000 0.0000 0.8799 [3 per cell]
Ru: 0.0066 0.5033 0.4694 [9 per cell]

Principal peaks in the range 10° ≤ 2θ ≤ 90°, in order of rising 2θ:
2θ = 26.2°, rel. 30, (0 2 1)
2θ = 31.6°, rel. 38, (0 1 2)
2θ = 32.3°, rel. 68, (2 1 1)
2θ = 32.6°, rel. 28, (3 0 0)
2θ = 37.0°, rel. 98, (2 0 2)
2θ = 37.8°, rel. 100, (2 2 0)
2θ = 42.3°, rel. 19, (1 3 1)
2θ = 53.9°, rel. 19, (0 4 2)
2θ = 56.8°, rel. 19, (0 3 3)
2θ = 57.5°, rel. 35, (2 3 2)
2θ = 64.8°, rel. 15, (5 1 1)
2θ = 67.7°, rel. 17, (4 2 2)

=====

The following is a computed XRD peak list of NaErSb2O8. It was derived from a structure optimized by DFT (GGA-PBE), using Cu Kα, 1.54184 Å.

Structure:
a = 5.8690 Å, b = 5.8690 Å, c = 6.9763 Å
α = 90.00°, β = 90.00°, γ = 120.00°
Space group P-3 (No. 147)
Unique sites:
Na: 0.0000 0.0000 0.0000 [1 per cell]
Er: 0.0000 0.0000 0.5000 [1 per cell]
Sb: 0.3333 0.6667 0.4643 [2 per cell]
O: 0.0538 0.3727 0.6267 [6 per cell]
O: 0.3333 0.6667 0.1813 [2 per cell]

Principal peaks in the range 10° ≤ 2θ ≤ 90°, in order of rising 2θ:
2θ = 12.7°, rel. 100, (0 0 1)
2θ = 25.5°, rel. 15, (0 0 2)
2θ = 30.5°, rel. 35, (1 1 0)
2θ = 33.1°, rel. 35, (2 -1 1)
2θ = 40.2°, rel. 29, (2 -1 2)
2θ = 50.0°, rel. 15, (2 -1 3)
2θ = 54.1°, rel. 10, (3 0 0)
2θ = 55.8°, rel. 12, (3 0 1)
2θ = 60.8°, rel. 8, (3 0 2)
2θ = 61.9°, rel. 7, (1 1 4)
2θ = 64.9°, rel. 5, (2 2 1)
2θ = 69.5°, rel. 6, (2 2 2)

=====

The following is a computed XRD peak list of Pu3Tc2Hg. It was derived from a structure optimized by DFT (GGA-PBE), using Cu Kα, 1.54184 Å.

Structure:
a = 3.269 Å, b = 3.269 Å, c = 12.071 Å
α = 90.00°, β = 90.00°, γ = 90.00°
Space group P4/mmm (No. 123)
Unique sites:
Pu: 0.000 0.000 0.000 [1 per cell]
Pu: 0.000 0.000 0.295 [2 per cell]
Tc: 0.500 0.500 0.147 [2 per cell]
Hg: 0.500 0.500 0.500 [1 per cell]

Principal peaks in the range 10° ≤ 2θ ≤ 90°, in order of rising 2θ:
2θ = 27.3°, rel. 9, (1 0 0)
2θ = 29.6°, rel. 9, (0 0 4)
2θ = 31.1°, rel. 14, (1 0 2)
2θ = 35.4°, rel. 100, (1 0 3)
2θ = 39.0°, rel. 49, (1 1 0)
2θ = 40.7°, rel. 11, (1 0 4)
2θ = 49.7°, rel. 9, (1 1 4)
2θ = 56.3°, rel. 17, (2 0 0)
2θ = 60.7°, rel. 10, (1 0 7)
2θ = 61.1°, rel. 9, (1 1 6)
2θ = 68.2°, rel. 30, (2 1 3)
2θ = 87.5°, rel. 8, (2 1 7)

=====

The following is a computed XRD peak list of HfTc2MoH. It was derived from a structure optimized by DFT (GGA-PBE), using Cu Kα, 1.54184 Å.

Structure:
a = 4.454 Å, b = 4.454 Å, c = 3.438 Å
α = 90.00°, β = 90.00°, γ = 90.00°
Space group P4/mmm (No. 123)
Unique sites:
Hf: 0.000 0.000 0.000 [1 per cell]
Tc: 0.000 0.500 0.500 [2 per cell]
Mo: 0.500 0.500 0.000 [1 per cell]
H: 0.500 0.500 0.500 [1 per cell]

  22. 试论消费文化与广告传播

    Consumer Culture and Advertising Communication

  23. 从市场规模、网民消费习惯、广告代理等方面研究了我国在线分类广告市场的特点,并对国内主要的在线分类广告网站作了比较分析。

    Studys the scope , user ' consume habit and Ads agents of national online classified Ads market , and compares dominating online classified Ads websites .

  24. 目前传统消费品网络广告份额逐年上升,许多行业已经看好网络广告的巨大媒体潜力。

    Current market partition of the traditional consumer goods cyber advertising increased year by year , many industries have been thinking highly of the great potential in online advertising media .

  25. 这也就意味着,在消费时代,广告看似有功利与非功利、理性与非理性的矛盾,实际上是更多的张力而不是矛盾。

    This also means in consumption age , advertising looks as if conflict between utilitarianism and non-utilitarianism and between rationality and non-rationality but it actually reflects flexibility rather than conflict .

  26. 本文拟从符号学的角度分析日常生活中的某些广告,联系人们的消费观念和广告对人们的观念可能造成的影响做出细致的分析并试图探讨隐藏在广告背后的文化内涵。

    Some daily advertisements are analysed from the perspective of semiotics , and the people 's consuming concept and the influence the advertisement may cause are expounded to probe into deep significance under the advertisement .

  27. 广告是社会经济生活中不可缺少的一部分,尤其在商品经济飞速发展的今天,广告充斥着大众的视听,影响着消费者的消费观念,广告已经成为现实生活的真实写照。

    Advertising is an indispensable part of social and economic life , especially in the rapid development of commodity economy , advertising is full of public audio-visuals and affects the concept of consuming . Advertising has become a true portrayal of real life .

  28. 在产品同质化趋势加剧的现代消费社会,广告不仅向受众传递商品信息,说服其采取购买行为,还影响着受众的生活方式、价值观念和精神取向,更成为了现代文化的传播者与创造者。

    In the modern Consumer Society , where the trend of product homogenization becomes more and more obvious , advertising does not only deliver commodity information to audience or persuade them to take purchasing action , but also affect their lifestyles , values and spiritual orientations .

  29. 论消费社会中影视广告类型化的趋向

    On the Trend of Typological Film & TV Advertisements in Consumptive Society

  30. 不同人生境界中消费观的比较广告传播与当代生活消费

    Comparison of consumption in different life environment Advertisement Dissemination And Modern Life Consumption